Wanna Munna Aboriginal Rock Art Site – Pilbara region WA

The main waterhole at Wanna Munna.  The rock art covers the surrounding rock faces and boulders.

In mid 2009 we explored the Pilbara region of Western Australia, travelling from the Pilbara coast to the Rudall River National Park in the Pilbara’s far east.  On our way from the famous and beautiful Karijini National Park to the mining town of Newman, we stopped at the Wanna Munna Aboriginal rock art site.


Aboriginal Rock Art of the Burrup Peninsula

Attached: records of crystals =
<<<
For K5C, a structure optimized by DFT (PBE) gives the simulated powder diffraction line list in this record (Cu Kα (weighted mean of Kα1 and Kα2)).
Kinematic intensities with the Lorentz-polarization factor, no thermal factor.

Cell and atoms:
```
data_K5C
_chemical_formula_sum 'K5 C1'
_space_group_name_H-M_alt 'P -6 2 m'
_space_group_IT_number 189
_space_group_name_Hall 'P -6 -2'
_cell_length_a 9.9103
_cell_length_b 9.9103
_cell_length_c 4.2473
_cell_angle_alpha 90.00
_cell_angle_beta 90.00
_cell_angle_gamma 120.00
loop_
_atom_site_label
_atom_site_fract_x
_atom_site_fract_y
_atom_site_fract_z
K1 0.0000 0.7878 0.0000
K2 0.3333 0.6667 0.5000
C1 0.0000 0.0000 0.5000
```

Largest 8 diffraction maxima, low angle first, 5 to 70 degrees two-theta:
d (Å)  I/Imax  h k l
8.583  35  1 0 0
4.955  92  1 1 0
3.807  78  1 0 1
3.244  95  2 1 0
3.225  100  1 1 1
2.578  55  2 1 1
2.140  44  2 2 1
1.873  30  4 1 0

For K7C, a structure optimized by DFT (PBE) gives the simulated powder diffraction line list in this record (Cu Kα (weighted mean of Kα1 and Kα2)).
Kinematic intensities with the Lorentz-polarization factor, no thermal factor.

Cell and atoms:
```
data_K7C
_chemical_formula_sum 'K28 C4'
_space_group_name_H-M_alt 'F m -3 m'
_space_group_IT_number 225
_space_group_name_Hall '-F 4 2 3'
_cell_length_a 12.568
_cell_length_b 12.568
_cell_length_c 12.568
_cell_angle_alpha 90.00
_cell_angle_beta 90.00
_cell_angle_gamma 90.00
loop_
_atom_site_label
_atom_site_fract_x
_atom_site_fract_y
_atom_site_fract_z
K1 0.000 0.000 0.000
K2 0.000 0.250 0.250
C1 0.000 0.000 0.500
```

Largest 8 diffraction maxima, low angle first, 5 to 70 degrees two-theta:
d (Å)  I/Imax  h k l
3.628  100  2 2 2
3.142  50  4 0 0
2.222  34  4 4 0
1.895  39  6 2 2
1.814  11  4 4 4
1.571  5  8 0 0
1.442  14  6 6 2
1.405  13  8 4 0

For K4C5, a structure optimized by DFT (PBE) gives the simulated powder diffraction line list in this record (Cu Kα (weighted mean of Kα1 and Kα2)).
Kinematic intensities with the Lorentz-polarization factor, no thermal factor.

Cell and atoms:
```
data_K4C5
_chemical_formula_sum 'K8 C10'
_space_group_name_H-M_alt 'I 4/m m m'
_space_group_IT_number 139
_space_group_name_Hall '-I 4 2'
_cell_length_a 12.051
_cell_length_b 12.051
_cell_length_c 3.511
_cell_angle_alpha 90.00
_cell_angle_beta 90.00
_cell_angle_gamma 90.00
loop_
_atom_site_label
_atom_site_fract_x
_atom_site_fract_y
_atom_site_fract_z
K1 0.000 0.239 0.000
C1 0.000 0.000 0.000
C2 0.063 0.063 0.500
```

Largest 8 diffraction maxima, low angle first, 5 to 70 degrees two-theta:
d (Å)  I/Imax  h k l
8.521  100  1 1 0
6.025  24  2 0 0
4.261  69  2 2 0
3.013  50  4 0 0
2.942  55  2 1 1
2.421  33  3 2 1
2.246  25  4 1 1
1.987  26  5 0 1

For KC, a structure optimized by DFT (PBE) gives the simulated powder diffraction line list in this record (Cu Kα (weighted mean of Kα1 and Kα2)).
Kinematic intensities with the Lorentz-polarization factor, no thermal factor.

Cell and atoms:
```
data_KC
>>>
So much for the records of crystals =



The Burrup Peninsula, about two thirds of the way up the enormous Western Australian coastline, is home to the world’s most extensive concentration of rock art, yet is relatively unknown.  Although there has never been a full inventory of the petroglyphs in the region, bodies such as the National Trust of Australia (WA) suggest that there could be up to 1 million individual works.  I am astounded that a place of such cultural significance is not World Heritage listed.  But read on, and you will learn why.


Wandjina – Rock Art of the Kimberley

Wandjina.  Munurru art site,  King Edward River, the Kimberley.


Visiting a Wandjina site is, without doubt, the most dramatic experience in rock art.  The Wandjina is an ancient, powerful, mysterious and deeply spiritual symbol.


Wildflowers of Western Australia

Australian Desert Rose, Wittenoom Gorge

Western Australia is deservedly famous for its wildflowers.  One of the first things you notice upon travelling through  WA is the soil, if you could call it that.  Most of WA is sandy and dry, and at first glance appears unlikely to support much in the way of plant life.   Yet travel through the state during the springtime and you will be astounded at the range of wildlfowers on display, especially if there have been good winter rains.     We wondered whether the range of flowers was in some part due to the high mineral content of the sandy ground. 


The Kimberley

Manning Gorge

Is it possible to sum up the Kimberley in a few photographs?  Of course not.   Such a vast, untamed, ancient, uncompromising and varied landscape would take a lifetime to even begin to comprehend.  But what the hell, here a a few photos we took in various places around the Kimberley, which we hope will give you a glimpse of the moods of this magnificent region. The Kimberley holds a magic all of its own.


The Pilbara

Contrasts, Weano Gorge, Karijini Ntl Pk

Most of us would be hard-pressed to locate the vast Pilbara region on a map of Australia.  We might associate the Pilbara with iron ore mining and offshore gas rigs, but know little more about it.  Nirbeeja and I certainly knew very little about the region before we visited. The first time we looked at a map of the region, there seemed to be a few small settlements with vast distances between them, and huge areas of ‘nothing’ on the map.

The reality of the Pilbara is, of course, very different.  It is a beautiful region, perhaps with the greatest range of colours of any we have seen in Australia.  The deep red of the rocks and earth contrasted with the deep blue of the sky and the pale spinifex grass.


Blog 12 – More of the Kimberley, then we cross the border to the NT – October 2009

View across Cambridge Gulf from Five Rivers Lookout, Wyndham WA

We finished our adventure along the Kimberley’s famous Gibb River Road feeling a strange mixture of elation and flatness.  We were elated to have experienced such a rugged, remote and ancient landscape, surprisingly full of wildlife and beauty.  We were also elated and relieved to have survived with car and camper trailer intact.  But we both also felt flat.  How could anything or anywhere live up to what we had just experienced?  How could we rekindle the almost magical quality of that region?

It was with these mixed feelings that we left the dirt and drove up the bitumen highway towards Wyndham, the most northerly major town in the Kimberley.  We had expected to drive along river flats and past mangrove swamps, but the region was surprisingly mountainous.  This was another reminder to us that Australia is a country of surprises.  Wyndham itself is a small place, with two halves separated by several kilometers.  The more modern administrative half appears to be the ‘growth’ district, while the older Wyndham Port features most of the town’s historic buildings.


Blog 11 – We return to the Kimberley, land of the Wandjina and the Boab – August 2009

Manning Gorge


Our last blog finished with us at the DeGrey River campsite, north of Port Hedland.  We had a week to burn before we were to return to Port Hedland for some work on the car.  Where to go?  I know Nirbeeja would have returned to Carawine Gorge in the blink of an eye, but it was quite a distance from Port Hedland, so we opted to travel instead up the coast.  After a couple of false starts we arrived at the Cape Keraudren Coastal Recreation Reserve (try saying that after a couple of wines).  Cape Keraudren is at the southerly edge of the well-known Eighty Mile Beach, so we thought it might give us a taste for the area.

We planned to stay for two nights, but stayed for five.  We loved it.  The area was full of wildlife, the beach was beautiful, we had our first sighting of Brolgas on this trip and we saw many magnificent kangaroos.  We were camped beside Cootenbrand Creek, a lovely sheltered spot that kept us entertained with its massive tidal variations and pale aqua waters.  The only drawback was that the campsite was on a limestone shelf, making it impossible to use pegs to secure the camper trailer.  So we improvised, tying the ropes to large rocks and using boxes to support inside the walls of the bedroom. Where there’s a will, there’s a way.

# Unrelated to this article: records of crystals
........
No. 1
The following is a calculated powder diffractogram of Ba4LiRh4O12. It was derived from the GGA-PBE geometry in the Materials Project, using a wavelength of 1.5418 Å.
Lines closer than 0.1° are merged.

The 6 most intense peaks (2θ = 5–70°), sorted by position:
| 2theta | I/Imax |
| --- | --- |
| 24.62 | 52 |
| 30.95 | 100 |
| 31.26 | 43 |
| 39.94 | 32 |
| 44.57 | 25 |
| 55.06 | 19 |

Crystal structure
Cell: 5.778 5.778 10.463 Å, 90.00 90.00 120.00°
Sites, in units of the cell vectors:
Ba 0.000 0.000 0.000
Ba 0.000 0.000 0.488
Ba 0.333 0.667 0.775
Ba 0.667 0.333 0.225
Li 0.333 0.667 0.541
Rh 0.333 0.667 0.076
Rh 0.333 0.667 0.332
Rh 0.667 0.333 0.578
Rh 0.667 0.333 0.845
O 0.008 0.504 0.463
O 0.182 0.364 0.205
O 0.182 0.818 0.205
O 0.372 0.186 0.712
O 0.496 0.504 0.463
O 0.496 0.992 0.463
O 0.503 0.005 0.966
O 0.503 0.497 0.966
O 0.636 0.818 0.205
O 0.814 0.186 0.712
O 0.814 0.628 0.712
O 0.995 0.497 0.966



No. 2
The following is a calculated powder diffractogram of Ce2SiSeO4. It was derived from the GGA-PBE geometry in the Materials Project, using a wavelength of 1.5418 Å.
Lines closer than 0.1° are merged.

The 6 most intense peaks (2θ = 5–70°), sorted by position:
| 2theta | I/Imax |
| --- | --- |
| 20.31 | 28 |
| 24.59 | 29 |
| 29.34 | 78 |
| 32.04 | 100 |
| 35.01 | 33 |
| 39.51 | 28 |

Crystal structure
Cell: 6.285 7.260 11.179 Å, 90.00 90.00 90.00°
Sites, in units of the cell vectors:
Ce 0.107 0.250 0.000
Ce 0.107 0.250 0.500
Ce 0.368 0.534 0.250
Ce 0.368 0.966 0.750
Ce 0.632 0.034 0.250
Ce 0.632 0.466 0.750
Ce 0.893 0.750 0.000
Ce 0.893 0.750 0.500
Si 0.387 0.750 0.000
Si 0.387 0.750 0.500
Si 0.613 0.250 0.000
Si 0.613 0.250 0.500
Se 0.076 0.611 0.750
Se 0.076 0.889 0.250
Se 0.924 0.111 0.750
Se 0.924 0.389 0.250
O 0.230 0.575 0.032
O 0.230 0.575 0.468
O 0.230 0.925 0.532
O 0.230 0.925 0.968
O 0.453 0.234 0.617
O 0.453 0.234 0.883
O 0.453 0.266 0.117
O 0.453 0.266 0.383
O 0.547 0.734 0.617
O 0.547 0.734 0.883
O 0.547 0.766 0.117
O 0.547 0.766 0.383
O 0.770 0.075 0.032
O 0.770 0.075 0.468
O 0.770 0.425 0.532
O 0.770 0.425 0.968



No. 3
The following is a calculated powder diffractogram of Dy2Co3Si5. It was derived from the GGA-PBE geometry in the Materials Project, using a wavelength of 1.5418 Å.
Lines closer than 0.1° are merged.

The 6 most intense peaks (2θ = 5–70°), sorted by position:
| 2theta | I/Imax |
| --- | --- |
| 24.66 | 56 |
| 36.04 | 87 |
| 36.85 | 87 |
| 36.99 | 100 |
| 37.37 | 58 |
| 45.96 | 94 |

Crystal structure
Cell: 7.833 7.833 5.481 Å, 109.17 109.17 93.37°
Sites, in units of the cell vectors:
Dy 0.098 0.369 0.236
Dy 0.369 0.098 0.736
Dy 0.631 0.902 0.264
Dy 0.902 0.631 0.764
Co 0.039 0.762 0.374
Co 0.238 0.961 0.126
Co 0.496 0.504 0.250
Co 0.504 0.496 0.750
Co 0.762 0.039 0.874
Co 0.961 0.238 0.626
Si 0.011 0.989 0.750
Si 0.238 0.437 0.835
Si 0.270 0.730 0.750
Si 0.285 0.715 0.250
Si 0.437 0.238 0.335
Si 0.563 0.762 0.665
Si 0.715 0.285 0.750
Si 0.730 0.270 0.250
Si 0.762 0.563 0.165
Si 0.989 0.011 0.250
........


Blog 10 – Working in Carnarvon, then on the road again – June 2009

Red Bluff, north of Carnarvon WA sunset

Contrary to what you may all be thinking, we are still alive, we are still travelling, we are still together and yes – we are still enjoying our adventure, loving it in fact.  It’s just that life, work and travel have all interfered with our capacity to write this blog.

Where did the time go?  Well, since our previous blog way back in October 2008 we’ve been pretty busy.  (more…)

Blog 9 – Karijini and beyond – adventures in the Pilbara – October 2008

The gorges converge at Oxer Lookout, Karijini National Park

We learned of Karijini National Park while we were still in Canberra.  A Tai Chi student of Peter’s showed us photos of his many travels around Australia, and we remember being struck by the ones of ‘that place with the magnificent gorges’.

Next, we heard about the park while staying in Ceduna, just before we crossed the Nullarbor.  A very friendly, enthusiastic lady from Mandurah, south of Perth, was going around the caravan park telling all of us easterners that we must visit Karijini.  This became a standing joke between us – “Young lady/man, you really must visit Karijini”. 

_Between two parts of the piece: crystal structures_
Entry 1:
Starting from DFT lattice parameters and positions (PBE), the PXRD pattern of Hf2Zr8In3 was simulated for Cu Ka.

Peak list (10 most intense, 2θ = 15–90°, in order of rising 2θ)
2θ (°)  I_rel
30.7  676
31.9  349
35.2  419
35.8  1000
36.1  586
38.4  370
41.0  396
58.0  487
64.0  338
75.8  236

Structure:
```
data_Hf2Zr8In3
_chemical_formula_sum 'Hf6 Zr24 In9'
_cell_length_a 5.8198
_cell_length_b 5.8198
_cell_length_c 31.8409
_cell_angle_alpha 90.00
_cell_angle_beta 90.00
_cell_angle_gamma 120.00
_symmetry_space_group_name_H-M 'R -3 m'
_symmetry_Int_Tables_number 166
_symmetry_space_group_name_Hall '-R 3 2"'
loop_
_atom_site_label
_atom_site_type_symbol
_atom_site_fract_x
_atom_site_fract_y
_atom_site_fract_z
_atom_site_occupancy
Hf1 Hf 0.0000 0.0000 0.1378 1
Zr1 Zr 0.0000 0.0000 0.2223 1
Zr2 Zr 0.0052 0.5026 0.7259 1
In1 In 0.0000 0.0000 0.3129 1
In2 In 0.0000 0.0000 0.5000 1
```

Entry 2:
Starting from DFT lattice parameters and positions (PBE), the PXRD pattern of Tb3Nd3Sm2 was simulated for Cu Ka.

Peak list (10 most intense, 2θ = 15–90°, in order of rising 2θ)
2θ (°)  I_rel
28.1  235
30.6  251
32.1  1000
42.0  159
49.7  196
55.4  213
59.5  228
60.4  164
82.0  92
84.9  85

Structure:
```
data_Tb3Nd3Sm2
_chemical_formula_sum 'Tb6 Nd6 Sm4'
_cell_length_a 5.835
_cell_length_b 14.690
_cell_length_c 6.347
_cell_angle_alpha 90.00
_cell_angle_beta 90.00
_cell_angle_gamma 90.00
_symmetry_space_group_name_H-M 'P m m n'
_symmetry_Int_Tables_number 59
loop_
_symmetry_equiv_pos_as_xyz
'x,y,z'
'-x,-y,-z'
'-x+1/2,-y+1/2,z'
'x+1/2,y+1/2,-z'
'x+1/2,-y,-z'
'-x+1/2,y,z'
'-x,y+1/2,-z'
'x,-y+1/2,z'
loop_
_atom_site_label
_atom_site_type_symbol
_atom_site_fract_x
_atom_site_fract_y
_atom_site_fract_z
_atom_site_occupancy
Tb1 Tb 0.250 0.001 0.165 1
Tb2 Tb 0.250 0.250 0.166 1
Nd1 Nd 0.250 0.124 0.665 1
Nd2 Nd 0.250 0.750 0.166 1
Sm1 Sm 0.250 0.625 0.668 1
```

Entry 3:
Starting from DFT lattice parameters and positions (PBE), the PXRD pattern of TbB6Ir6 was simulated for Cu Ka.

Peak list (10 most intense, 2θ = 15–90°, in order of rising 2θ)
2θ (°)  I_rel
23.4  496
31.8  293
32.4  188
36.9  573
38.3  1000
44.1  231
45.4  402
46.2  300
67.4  195
87.3  209

Structure:
```
data_TbB6Ir6
_chemical_formula_sum 'Tb2 B12 Ir12'
_cell_length_a 4.874
_cell_length_b 7.616
_cell_length_c 8.044
_cell_angle_alpha 90.00
_cell_angle_beta 90.00
_cell_angle_gamma 90.00
_symmetry_space_group_name_H-M 'I m m m'
_symmetry_Int_Tables_number 71
_symmetry_space_group_name_Hall '-I 2 2'
loop_
_atom_site_label
_atom_site_type_symbol
_atom_site_fract_x
_atom_site_fract_y
_atom_site_fract_z
_atom_site_occupancy
Tb1 Tb 0.000 0.000 0.000 1
B1 B 0.000 0.266 0.500 1
B2 B 0.250 0.250 0.250 1
Ir1 Ir 0.000 0.000 0.340 1
Ir2 Ir 0.000 0.332 0.000 1
Ir3 Ir 0.000 0.500 0.317 1
```

Entry 4:
Starting from DFT lattice parameters and positions (PBE), the PXRD pattern of Pm5Sm2Sc2 was simulated for Cu Ka.

Peak list (10 most intense, 2θ = 15–90°, in order of rising 2θ)
2θ (°)  I_rel
27.2  464
_Here the piece continues_

So we did. (more…)